There isn’t a man alive who doesn’t want bigger arms. Sleeve-busting biceps and triceps are the epitome of manliness and are what differentiates then men from the boys. As well as being a gym badge of honour, big arms project an image of strength and capability – men with big arms inevitably have no problem opening jam jars or arm wrestling bears for that matter!
However, go into any gym and you’ll see line after line of young guys trying to build their arms by performing exercises that simply are not right for the job. Triceps kickbacks, dumbbell concentration curls, reserve grip triceps pushdowns and other “pump and pose” exercises are all but useless for building huge arms. Like bringing a knife to a gun fight, these exercises just don’t have what it takes to win the battle of the bigger biceps.
-- The article is interrupted by calculated crystals --
┌──
Run a
A plane-wave DFT calculation with PBE was carried out for Ho7Tm4Mg after structural relaxation.

The density of states at the Fermi level is 2.026 states/eV per atom.

The structure belongs to space group P-3m1 (No. 164); the cell edges are 5.5217, 5.5217 and 13.7820 Å and the angles 90.00°, 90.00° and 120.00°. Symmetry generates all atoms from Ho at (0.0000, 0.0000, 0.0000), Ho at (0.0000, 0.0000, 0.2654), Ho at (0.3333, 0.6667, 0.1718), Ho at (0.3333, 0.6667, 0.4235), Tm at (0.3333, 0.6667, 0.6814), Tm at (0.3333, 0.6667, 0.9256) and Mg at (0.0000, 0.0000, 0.5000).


Run b
A plane-wave DFT calculation with PBE was carried out for Ho7Tm4Mg after structural relaxation.

The density of states at the Fermi level is 1.679 states/eV per atom.

The structure belongs to space group C2/m (No. 12); the cell edges are 11.810, 5.737 and 12.416 Å and the angles 90.00°, 115.51° and 90.00°. Symmetry generates all atoms from Ho at (0.000, 0.000, 0.000), Ho at (0.096, 0.500, 0.278), Ho at (0.133, 0.000, 0.477), Ho at (0.202, 0.500, 0.921), Tm at (0.129, 0.000, 0.773), Tm at (0.147, 0.500, 0.627) and Mg at (0.000, 0.500, 0.000).


Stability summary: most stable run a, least stable run b.


Run a
A plane-wave DFT calculation with PBE was carried out for Ho2Tm7Mg2 after structural relaxation.

The density of states at the Fermi level is 1.379 states/eV per atom.

The structure belongs to space group C2/m (No. 12); the cell edges are 9.249, 9.220 and 7.980 Å and the angles 90.00°, 104.13° and 90.00°. Symmetry generates all atoms from Ho at (0.000, 0.180, 0.000), Tm at (0.000, 0.000, 0.500), Tm at (0.189, 0.296, 0.679), Tm at (0.192, 0.500, 0.030) and Mg at (0.094, 0.500, 0.353).


Run b
A plane-wave DFT calculation with PBE was carried out for Ho2Tm7Mg2 after structural relaxation.

The density of states at the Fermi level is 1.318 states/eV per atom.

The structure belongs to space group C2/m (No. 12); the cell edges are 6.926, 9.625 and 9.839 Å and the angles 90.00°, 93.03° and 90.00°. Symmetry generates all atoms from Ho at (0.000, 0.206, 0.000), Tm at (0.000, 0.500, 0.500), Tm at (0.113, 0.202, 0.349), Tm at (0.152, 0.500, 0.854) and Mg at (0.213, 0.000, 0.794).


Stability summary: most stable run b, least stable run a.


Run a
A plane-wave DFT calculation with PBE was carried out for Ho2Tm2Mg after structural relaxation.

The density of states at the Fermi level is 1.740 states/eV per atom.

The structure belongs to space group I4_1/amd (No. 141, origin choice 2); the cell edges are 5.051, 5.051 and 24.923 Å and the angles 90.00°, 90.00° and 90.00°. Symmetry generates all atoms from Ho at (0.000, 0.250, 0.050), Tm at (0.000, 0.250, 0.205) and Mg at (0.000, 0.250, 0.375).


Run b
A plane-wave DFT calculation with PBE was carried out for Ho2Tm2Mg after structural relaxation.

The density of states at the Fermi level is 1.610 states/eV per atom.
└──
That’s not to say these exercises are entirely worthless – they aren’t. It’s just that they are better considered as finishing exercises rather than mass builders.
So, if what most people do for arm training is ineffective, what exercises are best for building huge arms? Good question! The best arm builders are the ones that allow you to lift the greatest amount of weight and therefore place the greatest amount of tension on the target muscles. Here is our list of the five best exercises for huge arms…
Barbell power curl – to the uninitiated, the barbell power curl looks like a cheating exercise but, in reality, it’s one of the best biceps size and strength exercises around. And while is does involve an element of body English (that’s cheating in American!) it does so in a very strategic way to help you lift the biggest weights possible. To perform this sleeve buster, grasp a barbell with an underhand, hip-width grip and stand with your legs slightly bent, feet shoulder-width apart. Without rounding your back, lean forward slightly and then drive your hips forward. Use this momentum to help you curl the bar up to your shoulders. Next, slowly lower the bar back down to the starting position making sure you control the bar all the way down to full arm extension. Because you are stronger when lowering a weight, you should be able to curl 20% more weight than normal by using this method.
Weighted chins – in most biceps exercises, your body stays stationary and you curl the weight up to your shoulders. This means that the limiting factor in most biceps exercises is not arm strength but your ability to stay standing when lifting a heavy weight away from your body. In contrast, chins involve pulling your body upward while the bar remains stationary – like a curl but in reverse. This all but eliminates any balance issues and leaves you free to focus on working your biceps as hard as possible. Use an underhand, shoulder-width grip for maximal biceps stimulation and if you can do more than ten reps, strap a weight around your waist for a more effective workout.
Weighted dips – dips are usually considered a chest exercise but, in actuality, they are also a superior triceps exercise. Use parallel bars and not the edge of an exercise bench and strap some weight around your waist if you can do more than ten bodyweight reps. Keep your torso upright and bend your elbows until your biceps touch your forearms to maximally activate your triceps. If you can’t do dips, try the close grip bench press exercise detailed below.
Close grip bench press – like the dip, the bench press is often considered to be a chest exercise but if you bring your hands in to a shoulder-width grip, this chest building exercise becomes an excellent triceps builder. Bend your arms and lower the bar to your sternum and then push it back up as powerfully as possible but do not bounce it off your chest. Don’t use a narrower grip than the one described as this can cause wrist and elbow pain. Try to keep your elbows tucked in toward your ribs for maximum effect.
Alternating dumbbell curls – doing your curls with dumbbells allows you to place all of your mental focus on one arm at a time which means you’ll be able to lift a) more weight, b) do more reps and c) get better results. Seated or standing, alternating dumbbell curls also leaves one arm in a stretched position which can also contribute to muscle growth by stretching the fascia – the fibrous bag that surrounds your muscles. Don’t “seesaw” your reps by lowering one arm as you simultaneously raise the other; make sure only one arm is moving at a time. Don’t be afraid to add a bit of power curl-style cheating to your reps – especially toward the end of each set. Just remember to always emphasize the lowering part of each and every repetition.
While huge arms are important, don’t forget that your arms are only one part of your body and need to be partnered with big shoulders, a deep chest, broad back and powerful legs too. Training your whole body equally will result in much bigger arms.